Forum Discussion

rscialabba's avatar
15 years ago

The text is interrupted by data records
1.
{
  "formula": "Ge3As5S12",
  "functional": "PBE",
  "state": "optimized geometry",
  "magmom_total_mub_per_cell": 0.00,
  "energy_ev_per_fu": -85.05,
  "vol_a3_per_cell": 1805,
  "lattice_angstrom": [[13.284, 0.000, 0.000], [-4.428, 12.524, 0.000], [-4.428, -6.262, 10.846]],
  "species": ["S", "S", "S", "S", "S", "S", "S", "S", "S", "S", "S", "S", "S", "S", "S", "S", "S", "S", "S", "S", "S", "S", "S", "S", "S", "S", "S", "S", "S", "S", "S", "S", "S", "S", "S", "S", "S", "S", "S", "S", "S", "S", "S", "S", "S", "S", "S", "S", "As", "As", "As", "As", "As", "As", "As", "As", "As", "As", "As", "As", "As", "As", "As", "As", "As", "As", "As", "As", "Ge", "Ge", "Ge", "Ge", "Ge", "Ge", "Ge", "Ge", "Ge", "Ge", "Ge", "Ge"],
  "frac_coords": [[0.374, 0.409, 0.086], [0.713, 0.126, 0.035], [0.535, 0.213, 0.126], [0.035, 0.409, 0.822], [0.678, 0.465, 0.591], [0.287, 0.874, 0.965], [0.322, 0.787, 0.414], [0.535, 0.322, 0.909], [0.374, 0.965, 0.787], [0.126, 0.414, 0.091], [0.414, 0.287, 0.322], [0.126, 0.713, 0.535], [0.874, 0.586, 0.909], [0.586, 0.874, 0.409], [0.909, 0.086, 0.874], [0.591, 0.965, 0.678], [0.091, 0.914, 0.126], [0.178, 0.086, 0.713], [0.965, 0.374, 0.287], [0.465, 0.678, 0.091], [0.787, 0.322, 0.914], [0.909, 0.822, 0.535], [0.586, 0.713, 0.678], [0.914, 0.822, 0.787], [0.626, 0.035, 0.213], [0.874, 0.287, 0.465], [0.322, 0.535, 0.409], [0.213, 0.678, 0.086], [0.787, 0.465, 0.374], [0.086, 0.909, 0.374], [0.591, 0.626, 0.414], [0.822, 0.909, 0.035], [0.409, 0.035, 0.322], [0.213, 0.535, 0.626], [0.678, 0.213, 0.586], [0.626, 0.591, 0.914], [0.965, 0.591, 0.178], [0.822, 0.914, 0.287], [0.287, 0.414, 0.822], [0.035, 0.626, 0.713], [0.091, 0.178, 0.465], [0.086, 0.178, 0.213], [0.414, 0.126, 0.591], [0.409, 0.374, 0.586], [0.914, 0.091, 0.626], [0.713, 0.586, 0.178], [0.465, 0.787, 0.874], [0.178, 0.091, 0.965], [0.000, 0.000, 0.500], [0.875, 0.625, 0.750], [0.250, 0.375, 0.625], [0.875, 0.250, 0.625], [0.500, 0.000, 0.000], [0.500, 0.500, 0.000], [0.375, 0.125, 0.750], [0.625, 0.750, 0.875], [0.500, 0.000, 0.500], [0.500, 0.500, 0.500], [0.125, 0.750, 0.375], [0.125, 0.375, 0.250], [0.750, 0.625, 0.375], [0.000, 0.000, 0.000], [0.750, 0.125, 0.875], [0.250, 0.875, 0.125], [0.000, 0.500, 0.500], [0.000, 0.500, 0.000], [0.375, 0.250, 0.125], [0.625, 0.875, 0.250], [0.375, 0.750, 0.625], [0.625, 0.250, 0.375], [0.375, 0.625, 0.250], [0.625, 0.375, 0.750], [0.250, 0.125, 0.375], [0.250, 0.625, 0.875], [0.875, 0.750, 0.125], [0.750, 0.875, 0.625], [0.750, 0.375, 0.125], [0.125, 0.875, 0.750], [0.875, 0.125, 0.250], [0.125, 0.250, 0.875]]
}

2.
{
  "formula": "ScAlTc3",
  "functional": "PBE",
  "state": "optimized geometry",
  "e_form_ev_per_atom": 0.891,
  "magmom_total_mub_per_cell": 0.52,
  "vol_a3_per_cell": 91,
  "polymorph_energy_mev_per_atom": 0,
  "lattice_angstrom": [[4.500, 0.000, 0.000], [0.000, 4.500, 0.000], [0.000, 0.000, 4.500]],
  "species": ["Al", "Tc", "Tc", "Tc", "Sc"],

Having trouble getting Test Complete to recognize two different web pages


I am working with an application in which you can click a link on Page1 which will open Page2. I then click some things on page two, close both pages and stop the recording. When I try to play back the test, it will get as far as opening Page2, but then will eventually return with an "Object does not exist" error. I discovered that this is because it is looking for the object on Page1, not Page2.

I opened the Name Mapping editor to attempt to see what the problem was. The objects I am trying to access on Page2 are listed under Page1, and Page2 seems never to have been recognized. I'm really not sure where to go from here. Could you give me some advice?

Thanks in advance,

+++
## ScCr2Au (GGA-PBE)

Data for a geometry-optimized ScCr2Au structure.

The structure belongs to space group Cmmm (No. 65); the cell edges are 5.3458, 8.5952 and 2.6938 Å and the angles 90.00°, 90.00° and 90.00°. The inequivalent atoms are Sc at (0.0000, 0.0000, 0.0000), Cr at (0.2500, 0.2500, 0.5000) and Au at (0.0000, 0.5000, 0.0000).

The value obtained for the formation energy from the elements is 1.7 eV/f.u. The crystal system is orthorhombic.

## LiMgPb (GGA-PBE)

Data for a geometry-optimized LiMgPb structure.

The structure belongs to space group Pnma (No. 62); the cell edges are 8.1737, 3.6231 and 9.5986 Å and the angles 90.00°, 90.00° and 90.00°. The inequivalent atoms are Li at (0.0617, 0.2500, 0.1530), Mg at (0.1137, 0.2500, 0.5967) and Pb at (0.2462, 0.2500, 0.8765).

The value obtained for the formation energy from the elements is -0.5 eV/f.u. The crystal system is orthorhombic.

## CrSiTeI2 (GGA-PBE)

Data for a geometry-optimized CrSiTeI2 structure.

The structure belongs to space group P4/mmm (No. 123); the cell edges are 5.3938, 5.3938 and 5.4301 Å and the angles 90.00°, 90.00° and 90.00°. The inequivalent atoms are Cr at (0.0000, 0.0000, 0.0000), Si at (0.5000, 0.5000, 0.5000), Te at (0.0000, 0.0000, 0.5000) and I at (0.0000, 0.5000, 0.0000).

Its formation energy from raw total energies is 265 kJ/mol of formula units. The crystal system is tetragonal.

One value per record, in order, for calculated total energy: -6.779; -2.584; -3.709 eV/atom.
One value per record, in order, for M_tot: 0.0; 0.0; 4.1 μB per formula unit.
One value per record, in order, for distance to the lowest polymorph of the same formula: 479; 6; 0 meV per atom.

* * * * *

The following is a DFT calculation (PBE+U) of a relaxed structure of NaFeGe2O.

Cell and atoms, written as POSCAR:
```
NaFeGe2O
1.0
4.4712 0.0000 0.0000
0.0000 4.4712 0.0000
0.0000 0.0000 4.2483
Na Fe Ge O
1 1 2 1
Direct
0.0000 0.0000 0.0000
0.5000 0.5000 0.0000
0.0000 0.5000 0.5000
0.5000 0.0000 0.5000
0.0000 0.0000 0.5000
```

- raw total energy (eV/atom) = -4.19
+++
End of the materials data:


2 Replies

  • Hello Rachel,

Records of crystals that have nothing to do with the entry:
~~~
1.
# SbMoIr2

A geometry-optimized SbMoIr2 structure (GGA-PBE, the Alexandria database).

Cell lengths 4.0232, 4.0232, 8.0137 Å; angles 90.00, 90.00, 90.00 degrees
Last column: nearest neighbours and their distance in Å.
Space group I4/mmm (No. 139)
Unique sites:
1 Sb 0.0000 0.0000 0.0000 (multiplicity 2)  8 Ir 2.84, 4 Mo 2.84
2 Mo 0.0000 0.0000 0.5000 (multiplicity 2)  8 Ir 2.84, 4 Sb 2.84
3 Ir 0.0000 0.5000 0.2500 (multiplicity 4)  4 Mo 2.84, 4 Sb 2.84, 4 Ir 2.84

**Raw formation energy**: 0.09 eV per atom


2.
# HoThNiPd

A geometry-optimized HoThNiPd structure (GGA-PBE, the Alexandria database).

Cell lengths 4.2542, 3.7474, 11.1457 Å; angles 90.00, 90.00, 90.00 degrees
Last column: nearest neighbours and their distance in Å.
Space group Amm2 (No. 38)
Unique sites:
1 Ho 0.0000 0.0000 0.0000 (multiplicity 2)  4 Pd 2.91, 3 Ni 2.93-3.24
2 Th 0.5000 0.0000 0.2757 (multiplicity 2)  4 Ni 2.87, 3 Pd 3.06-3.16
3 Ni 0.0000 0.0000 0.7369 (multiplicity 2)  4 Th 2.87, 2 Pd 2.91, 1 Ho 2.93
4 Pd 0.5000 0.0000 0.5590 (multiplicity 2)  2 Ni 2.91, 4 Ho 2.91, 3 Th 3.06-3.16

**Formation energy**: -2.625 eV/f.u.


3.
# BaPmZnPb

A geometry-optimized BaPmZnPb structure (GGA-PBE, the Alexandria database).

Cell lengths 8.0189, 8.0189, 8.0189 Å; angles 90.00, 90.00, 90.00 degrees
Last column: nearest neighbours and their distance in Å.
Space group F-43m (No. 216)
Unique sites:
1 Ba 0.0000 0.0000 0.0000 (multiplicity 4)  4 Pb 3.47, 4 Zn 3.47
2 Pm 0.0000 0.0000 0.5000 (multiplicity 4)  4 Pb 3.47, 4 Zn 3.47
3 Zn 0.2500 0.2500 0.7500 (multiplicity 4)  4 Ba 3.47, 4 Pm 3.47
4 Pb 0.2500 0.2500 0.2500 (multiplicity 4)  4 Pm 3.47, 4 Ba 3.47

**Formation energy**: -1.116 eV/f.u.


Copy entry 2 word for word.
# HoThNiPd

A geometry-optimized HoThNiPd structure (GGA-PBE, the Alexandria database).

Cell lengths 4.2542, 3.7474, 11.1457 Å; angles 90.00, 90.00, 90.00 degrees
Last column: nearest neighbours and their distance in Å.
Space group Amm2 (No. 38)
Unique sites:
1 Ho 0.0000 0.0000 0.0000 (multiplicity 2)  4 Pd 2.91, 3 Ni 2.93-3.24
2 Th 0.5000 0.0000 0.2757 (multiplicity 2)  4 Ni 2.87, 3 Pd 3.06-3.16
3 Ni 0.0000 0.0000 0.7369 (multiplicity 2)  4 Th 2.87, 2 Pd 2.91, 1 Ho 2.93
4 Pd 0.5000 0.0000 0.5590 (multiplicity 2)  2 Ni 2.91, 4 Ho 2.91, 3 Th 3.06-3.16

**Formation energy**: -2.625 eV/f.u.
~~~

    When we record our actions the automatic name mapping comes into play in TC and it dose that stuff automatically based on certain mechanism obviously. (May be something like - The combination of minimum number of properties that can uniquely identify the control Or something else) Whatever the mechanism is, I think in certain circumstances a case might arise where the recognition was done with  - Not the most appropriate collection of properties. In such a case you might have to go into the name mapping compare it with what is present in the object browser and validate the properties combination and their values used to recognize the control you want. You might need to do some changes - like adding another property, removing one or using regular expressions in the property values etc. After you are done with your changes try highlighting the control on the page. If the highlighting is done correctly your script should run with out any issue.

    Thank you


  • Hello Rachael,

    The idea Syed suggested is correct:

    >>> The combination of minimum number of properties that can uniquely identify the control Or something else

    So, in your case, it looks like both pages meet the same minimum set of recognition criteria TestComplete uses during the recording. As a result, both pages are represented by the same Name Mapping item. However, during the script execution, the second page does not match the existing mapping criteria for some reason. So, please follow Syed's suggestion and check the mapping criteria - most probably, you will need to map the second page as an individual Name Mapping item and correct the recorded script.

    Also, you can try refreshing the objects tree before the problematic line - it may appear that refreshing the references is enough to solve the problem:

